That movie was pretty alright, and pretty damn sad.
I remember the old rabbi and how he suffered and one scene where a father is carrying in his daughter who's wrapped up in a blanket and is completely emaciated and sick. Shes seen a couple more times but after that we never learn of her fate or any of its details. That kinda stuff sorta sunk it. The problem was it tried to be schindlers list "plus we added explosions", it tries to invoke two emotional extremes on us. It might be pretty artistic in its own right but I guess not as entertaining.
Attached: calculated crystals:
-- begin --
The following is a PBE calculation of a geometry-optimized Cs2SbCl2F4 structure, from the Alexandria database.

abc: 5.5634 7.3275 7.3275
angles: 54.45 92.82 92.82
Atoms (fractional coordinates):
Cs (0.1568, 0.6411, 0.6411)
Cs (0.8432, 0.3589, 0.3589)
Sb (0.5000, 0.0000, 0.0000)
Cl (0.3306, 0.1796, 0.1796)
Cl (0.6694, 0.8204, 0.8204)
F (0.2670, 0.7281, 0.1756)
F (0.7330, 0.8244, 0.2719)
F (0.7330, 0.2719, 0.8244)
F (0.2670, 0.1756, 0.7281)

Energy relative to the elements, uncorrected: -2.1606 eV/atom
Crystal system: monoclinic
Density of states at the Fermi level: 0.374 states/eV/atom


DFT (PBE-GGA) results for a geometry-optimized K2RhW structure.

Results
Spin magnetization = 0.00 μB/atom
Energy relative to the lowest polymorph listed for this composition = 222 kJ/mol of formula units
Raw total energy = -4.374 eV per atom
Symmetry = P4/mmm

The structure in extended XYZ format:
```
4
Lattice="3.8281 0.0000 0.0000 0.0000 3.8281 0.0000 0.0000 0.0000 5.8669" Properties=species:S:1:pos:R:3 pbc="T T T"
K 0.0000 0.0000 0.0000
K 1.9141 1.9141 0.0000
Rh 1.9141 0.0000 2.9334
W 0.0000 1.9141 2.9334
```


DFT (PBE-GGA) results for a geometry-optimized KRhW3 structure.

Results
Spin magnetization = 0.41 μB/atom
Energy relative to the lowest polymorph listed for this composition = 0 kJ/mol of formula units
Raw total energy = -7.274 eV per atom
Symmetry = Pm-3m

The structure in extended XYZ format:
```
5
Lattice="-0.7010 4.5997 -1.4206 -4.4167 -1.1856 -1.6595 -1.9152 1.0506 4.3469" Properties=species:S:1:pos:R:3 pbc="T T T"
K -3.5165 2.2324 0.6334
Rh 0.0000 0.0000 0.0000
W -2.2084 -0.5928 -0.8297
W -0.9576 0.5253 2.1734
W -0.3505 2.2999 -0.7103
```


DFT (PBE-GGA) results for a geometry-optimized KRhW2 structure.

Results
Spin magnetization = 0.00 μB/atom
Energy relative to the lowest polymorph listed for this composition = 407 kJ/mol of formula units
Raw total energy = -6.914 eV per atom
Symmetry = Fm-3m

The structure in extended XYZ format:
```
4
Lattice="0.7958 2.4479 3.7818 -3.2120 0.3092 3.2426 0.5895 -2.1162 4.0126" Properties=species:S:1:pos:R:3 pbc="T T T"
K 0.0000 0.0000 0.0000
Rh -0.9134 0.3205 5.5185
W -0.4567 0.1602 2.7592
W -1.3701 0.4807 8.2777
```


DFT (PBE-GGA) results for a geometry-optimized KRhW2 structure.

Results
Spin magnetization = 0.00 μB/atom
Energy relative to the lowest polymorph listed for this composition = 277 kJ/mol of formula units
Raw total energy = -7.249 eV per atom
Symmetry = Pmmm

The structure in extended XYZ format:
```
4
Lattice="-1.3233 2.4619 1.0213 -3.3194 -2.5922 1.9477 2.7946 -0.3052 4.3567" Properties=species:S:1:pos:R:3 pbc="T T T"
K 0.7357 1.0784 2.6890
Rh -0.2624 -1.4487 3.1522
W 0.0000 0.0000 0.0000
W -2.3214 -0.0651 1.4845
```


DFT (PBE-GGA) results for a geometry-optimized K2RhW structure.

Results
Spin magnetization = 0.13 μB/atom
Energy relative to the lowest polymorph listed for this composition = 196 kJ/mol of formula units
Raw total energy = -4.443 eV per atom
Symmetry = Cmmm
-- stop --
It was pretty cool for showing stuff like partisens in the war and how fluid the eastern front could be...Belorussians forced into service either with german fascism or russian stalinism, neither of which appealing at all to people in Belorussia, 'White Russia', a traditional stronghold for orthodox christianity (neither system was tolerant to religion or religious practice - the one on extreme racial ideals and the other on extreme political ideals).
Next to the article, the page also holds calculated crystals:
=====
Record 1
The following is a DFT calculation (PBE-GGA) of Be2SiH8 after structural relaxation.

Results
calculated total energy: -76.0 eV per cell
Fermi-level density of states: 0.00 states/eV/cell

Cell: 10.1378 4.6199 3.9521 Å, 90.00 92.99 90.00°
Space group C2/m (No. 12)
One atom of each set of equivalent atoms:
Be  0.1651  0.0000  0.3959 (multiplicity 4)
Si  0.0000  0.0000  0.0000 (multiplicity 2)
H  0.0855  0.2391  0.2049 (multiplicity 8)
H  0.1104  0.0000  0.7276 (multiplicity 4)
H  0.2037  0.5000  0.6646 (multiplicity 4)

Record 2
The following is a DFT calculation (PBE-GGA) of BeSiH after structural relaxation.

Results
energy above the lowest structure with this stoichiometry: 0.295 kcal/mol of atoms

Cell: 6.8567 3.9432 5.5381 Å, 90.00 114.49 90.00°
Space group C2/m (No. 12)
One atom of each set of equivalent atoms:
Be  0.0000  0.2471  0.0000 (multiplicity 4)
Si  0.1388  0.5000  0.4213 (multiplicity 4)
H  0.1456  0.0000  0.9692 (multiplicity 4)

Record 3
The following is a DFT calculation (PBE-GGA) of BeSiH2 after structural relaxation.

Results
energy above the lowest structure with this stoichiometry: 6.441 kcal/mol of atoms
Fermi-level density of states: 3.39 states/eV/cell

Cell: 4.9119 4.9119 4.9119 Å, 90.00 90.00 90.00°
Space group Fm-3m (No. 225)
One atom of each set of equivalent atoms:
Be  0.0000  0.0000  0.0000 (multiplicity 4)
Si  0.0000  0.0000  0.5000 (multiplicity 4)
H  0.2500  0.2500  0.2500 (multiplicity 8)

~~~~~

# 1
Compound: ScTi2Ir2
Source: Alexandria via LeMat-Bulk
Functional: PBE-GGA
Structure: optimized geometry

Results
- Energy relative to the lowest polymorph listed for this composition: 0.051 eV per atom
- Raw total energy: -8.672 eV/atom

POSCAR file:
```
ScTi2Ir2
1.0
-2.080 2.080 5.379
2.080 -2.080 5.379
2.080 2.080 -5.379
Sc Ti Ir
1 2 2
Direct
0.000 0.000 0.000
0.250 0.750 0.500
0.750 0.250 0.500
0.383 0.383 0.000
0.617 0.617 0.000
```

# 2
Compound: BaCd2HgAu2
Source: Alexandria via LeMat-Bulk
Functional: PBE-GGA
Structure: optimized geometry

Results
- Raw total energy: -2.143 eV/atom

POSCAR file:
```
BaCd2HgAu2
1.0
4.921 0.000 0.000
-2.460 4.261 0.000
0.000 0.000 7.521
Ba Cd Hg Au
1 2 1 2
Direct
0.000 0.000 0.000
0.333 0.667 0.317
0.667 0.333 0.683
0.000 0.000 0.500
0.333 0.667 0.724
0.667 0.333 0.276
```

# 3
Compound: Hf2ZrBe
Source: Alexandria via LeMat-Bulk
Functional: PBE-GGA
Structure: optimized geometry

Results
- Raw total energy: -7.886 eV/atom

POSCAR file:
```
Hf2ZrBe
1.0
1.606 0.927 8.883
-1.606 0.927 8.883
0.000 -1.855 8.883
Hf Zr Be
2 1 1
Direct
0.237 0.237 0.237
0.763 0.763 0.763
0.000 0.000 0.000
0.500 0.500 0.500
```

~~~~~

(1)
=====
For instance when the one Ukrainian homeowner is initially a friendly character to the brothers, only for us to find out later that his general security situation has persuaded him to ally with the German occupiers...Only to THEN find out that his aid to the brothers gets him executed by the Germans for aiding partisans. Stuck in a major rock and a hard place, between two armies such as those. Shades of gray. Then think of that Ukrainian guy in the news lately for MAYBE being (no ones sure) a **** camp guard. His fate was the same, initially serving the soviets and then to the other side.
It should have concentrated MUCH MUCH MUCH more on their resource gathering and guerilla activities as it is their reason for surviving and their appeal to us for surviving such extreme hardship...Those brothers survived by living in that gray world, they stole and sapped and struck fast and disappeared like true guerillas. All social barriers were torn down and basic human survival was all that stood the test. The movie hints at it a few times but not nearly enough.
The last fight is total BS, theres no way in hell a column of tank supported infantry is going to be outflanked and destroyed by organized civilians with very light cover. In reality that tank charges forward and pierces that line if it can't get line of sight from the tree line, and sends people scattering and that infantry group either takes cover behind it or more probably advances in a long skirmish echelon, and thats if theyre taken by surprise, otherwise they wouldnt even leave the wood line seen in their rear. In the movie some bloke runs up and throws a grenade in the tank and disables it, while there are still infantry around! Thats what "panzer grenadiers" DID, they advanced under mutual support of armor. Instead the Germans just stand around like dumb pricks like stormtroopers out of Star Wars...Thats the other half of the movies main flaw, every faction of the movie couldn't have been more cookiecutter, like a made-for-movie comicbook of WW2 instead of the real thing. The other side of the same coin of suspended belief.
********
# NaMo2O6

A relaxed structure of NaMo2O6 (PBE with a Hubbard U, the Alexandria database).

It has space group C2/m (No. 12), with a = 9.832 Å, b = 3.850 Å, c = 7.335 Å, α = 90.00°, β = 112.88° and γ = 90.00°. Symmetry generates all atoms from Na at (0.000, 0.000, 0.000), Mo at (0.181, 0.000, 0.633), O at (0.014, 0.000, 0.682), O at (0.171, 0.500, 0.136) and O at (0.197, 0.500, 0.561).

The calculation puts the electronic total energy at -6.67 eV/atom. As for the crystal system: monoclinic. The calculation puts the size of the total moment at 1.00 μB per formula unit.

=====

No. 1
The following is a PBE calculation of crystalline Rb2ThZrO6 at its relaxed geometry, from Alexandria.

Cell: 6.270 6.269 6.272 Å, 60.00 59.98 90.00°
Site moments in Bohr magnetons follow the coordinates.
Positions (direct):
Zr 0.000 0.000 0.000  -0.06
Rb 0.250 0.750 0.500  0.00
O 0.240 0.240 0.520  0.30
O 0.240 0.760 0.000  0.29
O 0.760 0.760 0.000  0.29
Rb 0.750 0.250 0.500  0.00
O 0.760 0.240 0.000  0.29
O 0.760 0.760 0.480  0.30
Th 0.500 0.500 0.000  0.00
O 0.240 0.240 0.000  0.29

Values from the calculation:
Volume (A^3/atom): 17.4
Formation energy (no corrections) (kJ per mole of atoms): -237

---

No. 2
The following is a PBE calculation of crystalline RbTiO2 at its relaxed geometry, from Alexandria.

Cell: 4.195 4.195 4.195 Å, 60.00 60.00 60.00°
Site moments in Bohr magnetons follow the coordinates.
Positions (direct):
Rb 0.500 0.500 0.500  0.02
O 0.250 0.250 0.250  -0.08
O 0.750 0.750 0.750  -0.08
Ti 0.000 0.000 0.000  1.02

Values from the calculation:
Volume (A^3/atom): 13.0
Formation energy (no corrections) (kJ per mole of atoms): -78

---

No. 3
The following is a PBE calculation of crystalline Rb2TiO at its relaxed geometry, from Alexandria.

Cell: 12.993 12.993 9.388 Å, 46.21 46.21 90.00°
Site moments in Bohr magnetons follow the coordinates.
Positions (direct):
Rb 0.438 0.125 0.250  0.01
Ti 0.750 0.250 0.500  1.21
O 0.250 0.750 0.500  -0.05
Rb 0.875 0.688 0.750  0.01
Rb 0.312 0.625 0.250  0.01
Ti 0.000 0.000 0.000  1.19
Rb 0.375 0.562 0.750  0.01
O 0.500 0.500 0.000  -0.05

Values from the calculation:
Volume (A^3/atom): 40.8
Formation energy (no corrections) (kJ per mole of atoms): -66

---

No. 4
The following is a PBE calculation of crystalline RbTi4O7 at its relaxed geometry, from Alexandria.

Cell: 5.564 5.436 13.887 Å, 90.00 90.00 90.00°
Site moments in Bohr magnetons follow the coordinates.
Positions (direct):
O 0.027 0.632 0.653  -0.01
O 0.527 0.368 0.847  -0.01
O 0.873 0.134 0.703  0.01
Ti 0.040 0.848 0.754  0.22
Ti 0.108 0.306 0.625  0.16
Ti 0.540 0.152 0.746  0.22
O 0.373 0.866 0.203  0.01
Rb 0.651 0.733 0.500  0.00
O 0.527 0.780 0.000  0.00
O 0.027 0.220 0.500  0.00
O 0.873 0.134 0.297  0.01
O 0.527 0.368 0.153  -0.01
O 0.441 0.303 0.370  0.02
O 0.941 0.697 0.130  0.02
O 0.941 0.697 0.870  0.02
Ti 0.040 0.848 0.246  0.22
O 0.027 0.632 0.347  -0.01
Rb 0.151 0.267 0.000  0.00
O 0.373 0.866 0.797  0.01
Ti 0.108 0.306 0.375  0.16
********
A sorta similar movie is Miracle at St Anna. While being similarly hoakie in its action scenes its a little better at playing out the general chaos and social extremes I think, its a decent watch on a boring weekend but no classic.